Postdoc position in Probabilistic Machine Learning and Amortized Inference

Inserted here: crystal structures:
Structure and calculated X-ray powder pattern of BeHgAs2 (a crystal structure in Alexandria, relaxed with GGA-PBE; Cu Ka).
Intensities are scaled so that the largest is 100.

Principal peaks in the range 10° ≤ 2θ ≤ 90°, by intensity:
| 2θ/deg | I/Imax |
| --- | --- |
| 29.9 | 100 |
| 35.1 | 44 |
| 40.0 | 35 |
| 51.5 | 32 |
| 31.4 | 29 |
| 51.7 | 28 |
| 10.4 | 25 |
| 20.8 | 22 |
| 66.5 | 21 |
| 81.1 | 17 |

Atomic structure:
```
BeHgAs2
1.0
3.1884 0.0000 0.0000
0.0000 3.1884 0.0000
0.0000 0.0000 8.5411
Be Hg As
1 1 2
direct
0.0000 0.0000 0.0000
0.0000 0.0000 0.5000
0.5000 0.5000 0.1414
0.5000 0.5000 0.8586
```


Record 1
The following is a computed X-ray powder pattern of KFeSn3O8. It was derived from the PBE+U geometry in the Materials Project, using Cu Kα X-rays.
Lines closer than 0.1° are merged.

Main lines, sorted by position (2θ = 10–90°):
2theta  I/Imax
11.76  68
16.78  84
26.56  63
26.78  94
33.70  88
33.82  100
45.19  55
51.91  39
54.63  42
55.03  48

```
KFeSn3O8
1.0
7.4242 -1.6046 0.0000
7.4242 1.6046 0.0000
-7.4183 0.0000 7.5228
K Fe Sn O
1 1 3 8
Direct
0.0000 0.0000 0.0000
0.1497 0.1497 0.8165
0.3394 0.3394 0.4940
0.6629 0.6629 0.5223
0.8414 0.8414 0.1716
0.0389 0.0389 0.3750
0.2983 0.2983 0.6508
0.3338 0.3338 0.2939
0.3473 0.3473 0.0484
0.6500 0.6500 0.9481
0.6636 0.6636 0.7127
0.7026 0.7026 0.3623
0.9602 0.9602 0.6290
```



Record 2
The following is a computed X-ray powder pattern of KTbFe4O12. It was derived from the PBE+U geometry in the Materials Project, using Cu Kα X-rays.
Lines closer than 0.1° are merged.

Main lines, sorted by position (2θ = 10–90°):
2theta  I/Imax
11.61  35
16.35  32
20.10  100
33.07  94
33.21  48
39.13  35
47.27  23
47.61  23
47.74  21
59.25  37

```
KTbFe4O12
1.0
7.6199 0.0000 0.0000
0.0000 3.8202 3.8459
0.0000 -3.8202 3.8459
K Tb Fe O
1 1 4 12
Direct
0.0000 0.0000 0.0000
0.5000 0.5196 0.5196
0.2480 0.0077 0.5035
0.2480 0.5035 0.0077
0.7520 0.0077 0.5035
0.7520 0.5035 0.0077
0.0000 0.0216 0.4950
0.0000 0.4950 0.0216
0.2512 0.7347 0.7347
0.2726 0.2593 0.7491
0.2726 0.7491 0.2593
0.2888 0.2763 0.2763
0.5000 0.5214 0.9663
0.5000 0.9663 0.5214
0.7112 0.2763 0.2763
0.7274 0.2593 0.7491
0.7274 0.7491 0.2593
0.7488 0.7347 0.7347
```



Record 3
The following is a computed X-ray powder pattern of KTi3FeO8. It was derived from the PBE+U geometry in the Materials Project, using Cu Kα X-rays.
Lines closer than 0.1° are merged.

Main lines, sorted by position (2θ = 10–90°):
2theta  I/Imax
12.33  55
17.34  100
27.39  97
27.76  98
35.67  95
35.81  82
40.03  66
47.52  73
57.06  46
65.86  46

```
KTi3FeO8
1.0
7.1806 -1.5031 0.0000
7.1806 1.5031 0.0000
-7.1396 0.0000 7.2867
K Ti Fe O
1 3 1 8
Direct
0.0000 0.0000 0.0000
0.3319 0.3319 0.4842
0.6609 0.6609 0.5168
0.8416 0.8416 0.1735
0.1465 0.1465 0.8137
0.0394 0.0394 0.3745
0.2931 0.2931 0.6389
0.3315 0.3315 0.2922
0.3490 0.3490 0.0549
0.6557 0.6557 0.9599
0.6635 0.6635 0.7016
0.7025 0.7025 0.3589
0.9529 0.9529 0.6199
```



Record 4

The Department of Computer Science, Faculty of Science, University of Helsinki invites applications for a Postdoctoral Researcher in Probabilistic Machine Learning and Amortized Inference.

The University of Helsinki is an international scientific community of 40,000 students and researchers. It is one of the leading multidisciplinary research universities in Europe and ranks among the top 100 international universities in the world.

The Department of Computer Science, which is part of the Faculty of Science, is a leading Computer Science research and teaching unit in Finland. The research themes of the Department cover machine learning and algorithms, computer networks and distributed systems, software systems and bioinformatics.

The Department of Computer Science, Faculty of Science, University of Helsinki invites applications for a

Postdoctoral Researcher in Probabilistic Machine Learning and Amortized Inference

Position description

The Machine and Human Intelligence research group led by Principal Investigator Luigi Acerbi is looking for a postdoctoral researcher eager to work on new machine learning methods for robust, efficient, surrogate-based, simulator-based, and amortized probabilistic inference with applications in fields such as computational and cognitive neuroscience. The candidate will join our highly collaborative research group at the Department of Computer Science of the University of Helsinki with strong links to the Finnish Center for Artificial Intelligence FCAI.

Recent advances in machine learning have shown how powerful emulators and surrogate models can be trained to drastically reduce the costs of simulation, optimization and Bayesian inference, with many trailblazing applications in the sciences. In this project, the candidate will join an active area of research within the group to develop new methods for simulation, optimization and inference that combine state-of-the-art deep learning and surrogate-based approaches – including for example deep sets and transformers; normalizing flows; Gaussian and neural processes – with the goal of achieving maximal sample-efficiency (in terms of number of required model evaluations or simulations) and wall-clock speed at runtime (via amortization). The candidate will apply these methods to challenging problems involving statistical and simulator-based models that push the current state-of-the-art, be it for number of parameters (high-dimensional amortized inference), number of available model evaluations (extreme sample-efficiency), amount of data, or by tackling open questions such as generalization and robustness to model misspecification. The project will build on the state-of-the-art frameworks developed in our group, from Variational Bayesian Monte Carlo (VBMC; Acerbi, NeurIPS; 2018, 2020) to the recently proposed Amortized Conditioning Engine (Chang et al., 2024). Example applications include state-of-the-art computational cognitive models of sequential decision making from our collaborators (van Opheusden et al., Nature; 2023).

The project will include research visits abroad to work with collaborators, such as Wei Ji Ma's group at New York University (New York, NY, USA), Alexandre Pouget's group at the University of Geneva (Switzerland) and The International Brain Laboratory and Valentin Wyart at the Ecole Normal Supérieure in Paris (France). The project will also include multiple opportunities for collaboration with the thriving machine learning community of the Finnish Center for Artificial Intelligence (FCAI).

Expected milestones include writing and submitting articles to leading machine learning and statistics venues, such as NeurIPS, ICML, AISTATS, or established computational journals such as PLoS Computational Biology.

The position is full-time, funded for two years possibly renewable (pending funding), with a target starting date in early 2025.


The work involves research-related activities (~95% of workload), including: conducting theoretical and applied research, collaborating and interacting with team members, designing and programming machine learning software, computational and data analyses, writing research articles, participating in and presenting research at academic conferences, and taking part in international research visits. Teaching-related activities comprise approximately 5% of the workload.

The ideal candidate has a strong background in computational statistics and/or machine learning, particularly in approximate Bayesian inference and/or probabilistic machine learning methods (e.g., MCMC, normalizing flows, variational inference, Bayesian deep learning, etc.). We also require experience in implementing efficient code in Python (e.g., PyTorch, Jax). The following constitute an advantage, but are not required:

  • Experience with Gaussian processes and/or Bayesian optimization. 
  • Experience with simulator-based inference and/or amortized inference methods and toolboxes.
  • Previous research experience and publications (required for a postdoctoral position).

Excellent written and oral communication skills in English are needed.

Applicants should have – or be about to obtain – a PhD in machine learning, computer science, data science, applied mathematics and statistics, physics, or a related field.

Salary and benefits

The position is full-time and funded for 2 years (postdoc). The starting salary is 2400–2800 euros/month (for a doctoral student) and 3600–4200 euros/month (for a postdoc), depending on previous qualifications and experience.

The University of Helsinki offers comprehensive services to its employees, including occupational health care and health insurance, sports facilities, and opportunities for professional development. The International Staff Services office assists employees from abroad with their transition to work and live in Finland.

How to apply

Please submit your application with its attachments to the group leader, Luigi Acerbi (please find email address below), specifying "Application for postdoc in Probabilistic Machine Learning and Amortized Inference" as the email subject.

The application should include the following attachments as pdf files (in English):

  1. CV with possible list of publications and previous projects;
  2. A copy of your transcripts (list of courses completed during BSc/MSc and grades);
  3. Cover letter (1-2 pages) with motivation, research interests and match to the project;
  4. Contact details of two referees who could provide a letter of recommendation (can be included at the end of the CV);
  5. An extended sample of your scientific writing (e.g., your Master's or PhD thesis, or a project report; could be a link if available online).

Applications will be considered until the position is filled.

Additional information

For more information on the group and the position, please:

And these are some good reasons to move to Finland.

Our group is committed to principles of diversity, equality and inclusion. We encourage applications from women, racial and ethnic minorities, and other under-represented individuals.


Appendix: Background references and material

Surrogate-based probabilistic machine learning methods developed in our group:

  • Acerbi (2018). Variational Bayesian Monte Carlo. NeurIPS (link).
  • Acerbi (2020). Variational Bayesian Monte Carlo with Noisy Likelihoods. NeurIPS (link).
  • Li, Clarté, Jørgensen & Acerbi (2024). Fast post-process Bayesian inference with Variational Sparse Bayesian Quadrature. arXiv preprint (link).

Amortized Inference work from our group and in collaboration with FCAI:

Here the piece breaks off for data records:
# 1
Starting from the GGA-PBE geometry in Alexandria, the powder diffractogram of Ba4ZnPd2 was computed for copper Kα.
Lines closer than 0.1° are merged.

Peak list (6 most intense, 15 to 90 degrees two-theta, by angle)
2θ = 28.1°, d 3.176, rel. 100
2θ = 28.2°, d 3.162, rel. 94
2θ = 28.7°, d 3.112, rel. 55
2θ = 34.7°, d 2.583, rel. 66
2θ = 35.0°, d 2.561, rel. 70
2θ = 36.9°, d 2.433, rel. 55

Structure:
```
data_Ba4ZnPd2
_chemical_formula_sum 'Ba8 Zn2 Pd4'
_cell_length_a 8.186
_cell_length_b 8.186
_cell_length_c 8.868
_cell_angle_alpha 105.16
_cell_angle_beta 105.16
_cell_angle_gamma 72.94
_symmetry_space_group_name_H-M 'P 1'
_symmetry_Int_Tables_number 1
_symmetry_space_group_name_Hall 'P 1'
loop_
_atom_site_label
_atom_site_fract_x
_atom_site_fract_y
_atom_site_fract_z
_atom_site_occupancy
Ba1 0.000 0.000 0.000 1
Ba2 0.004 0.004 0.509 1
Ba3 0.456 0.981 0.861 1
Ba4 0.474 0.998 0.369 1
Ba5 0.484 0.484 0.990 1
Ba6 0.495 0.495 0.508 1
Ba7 0.981 0.456 0.861 1
Ba8 0.998 0.474 0.369 1
Zn1 0.782 0.782 0.142 1
Zn2 0.802 0.802 0.655 1
Pd1 0.158 0.689 0.714 1
Pd2 0.275 0.275 0.138 1
Pd3 0.288 0.288 0.645 1
Pd4 0.689 0.158 0.714 1
```

---

# 2
Starting from the GGA-PBE geometry in Alexandria, the powder diffractogram of HfTiSCl2 was computed for copper Kα.
Lines closer than 0.1° are merged.

Peak list (6 most intense, 15 to 90 degrees two-theta, by angle)
2θ = 17.8°, d 4.979, rel. 46
2θ = 18.1°, d 4.911, rel. 83
2θ = 25.5°, d 3.496, rel. 100
2θ = 25.7°, d 3.473, rel. 46
2θ = 36.6°, d 2.455, rel. 58
2θ = 45.1°, d 2.009, rel. 44

Structure:
```
data_HfTiSCl2
_chemical_formula_sum 'Hf1 Ti1 S1 Cl2'
_cell_length_a 4.911
_cell_length_b 4.911
_cell_length_c 4.979
_cell_angle_alpha 90.00
_cell_angle_beta 90.00
_cell_angle_gamma 90.00
_symmetry_space_group_name_H-M 'P 1'
_symmetry_Int_Tables_number 1
_symmetry_space_group_name_Hall 'P 1'
loop_
_atom_site_label
_atom_site_fract_x
_atom_site_fract_y
_atom_site_fract_z
_atom_site_occupancy
Hf1 0.000 0.000 0.000 1
Ti1 0.500 0.500 0.500 1
S1 0.000 0.000 0.500 1
Cl1 0.000 0.500 0.000 1
Cl2 0.500 0.000 0.000 1
```

---

# 3
Starting from the GGA-PBE geometry in Alexandria, the powder diffractogram of Er3CSe was computed for copper Kα.
Lines closer than 0.1° are merged.

Peak list (6 most intense, 15 to 90 degrees two-theta, by angle)
2θ = 29.8°, d 3.002, rel. 54
2θ = 31.6°, d 2.833, rel. 100
2θ = 31.8°, d 2.818, rel. 24
2θ = 33.5°, d 2.674, rel. 30
2θ = 41.4°, d 2.183, rel. 28
2θ = 45.4°, d 1.999, rel. 22

Structure:
```
data_Er3CSe
_chemical_formula_sum 'Er6 C2 Se2'
_cell_length_a 6.777
_cell_length_b 6.777
_cell_length_c 8.651
_cell_angle_alpha 103.00
_cell_angle_beta 103.00
_cell_angle_gamma 37.58
_symmetry_space_group_name_H-M 'P 1'
_symmetry_Int_Tables_number 1
_symmetry_space_group_name_Hall 'P 1'
loop_
_atom_site_label
_atom_site_fract_x
_atom_site_fract_y
_atom_site_fract_z
_atom_site_occupancy
Er1 0.070 0.070 0.188 1
Er2 0.173 0.173 0.646 1
Er3 0.339 0.339 0.050 1
Er4 0.661 0.661 0.950 1
Er5 0.827 0.827 0.354 1

  • Huang, Haussmann, Remes, John, Clarté, Luck, Kaski & Acerbi (2023). Practical Equivariances via Relational Conditional Neural Processes. NeurIPS (link).
  • Huang, Bharti, Souza, Acerbi & Kaski (2023). Learning Robust Statistics for Simulation-based Inference under Model Misspecification. NeurIPS (link).
  • Chang, Loka, Huang, Remes, Kaski & Acerbi (2025). Amortized Probabilistic Conditioning for Optimization, Simulation and Inference. AISTATS (link).